_Wanted_
Next, reproduce the calculation results further below unchanged.

_Data_
# 1
The following is a DFT calculation (ωB97M-V/def2-TZVPD) of C21H40P2Ti as an isolated structure at a distorted geometry.

Calculated values
net charge: +2
energy relative to the best compared isomer or geometry (same formula, charge and spin): 0.0 kcal per mole
orbital gap (alpha / beta): 5.33 / 5.34 eV
largest force on an atom: 5.32 eV/Å

Each line ends with the Mulliken charge.
CARTESIAN COORDINATES (ANGSTROEM)
P 4.86 2.66 1.19  0.71
P 4.07 3.02 -2.24  1.33
C 5.96 3.22 -0.18  -0.88
C 5.22 4.04 -1.27  -1.14
H 6.46 2.35 -0.63  0.47
H 6.79 3.84 0.19  0.58
H 4.68 4.90 -0.83  0.46
H 5.92 4.45 -2.02  0.52
C 5.16 2.07 -3.30  -1.48
H 4.60 1.36 -3.91  0.43
H 5.92 1.53 -2.74  0.38
H 5.67 2.76 -3.98  0.49
C 3.24 4.11 -3.42  -1.30
H 3.97 4.45 -4.16  0.48
H 2.80 4.98 -2.92  0.40
H 2.45 3.57 -3.95  0.38
C 5.96 1.92 2.44  -1.22
H 5.38 1.50 3.27  0.43
H 6.66 2.64 2.91  0.45
H 6.60 1.12 2.03  0.42
C 4.12 4.11 1.94  -1.47
H 3.59 4.69 1.19  0.38
H 4.82 4.78 2.43  0.46
H 3.42 3.78 2.70  0.45
Ti 1.43 -0.03 1.89  0.53
C 0.03 1.56 -1.81  -0.72
C 0.98 0.57 -1.87  -0.91
C 2.45 0.71 -1.77  0.80
C 3.27 0.47 -0.45  -0.74
C 3.37 1.63 0.60  0.12
C 2.01 2.25 0.74  -0.42
C 1.42 3.14 -0.28  -0.34
C 0.06 2.74 -0.92  -1.00
C -0.20 1.16 2.41  -1.25
H -0.98 1.31 -2.14  0.46
H 0.64 -0.42 -1.62  0.51
H 2.76 1.74 -2.09  -1.46
H 2.84 -0.07 -2.46  0.67
H 2.85 -0.44 0.04  0.50
H 4.26 0.11 -0.75  0.51
H 3.55 1.05 1.54  0.13
H 1.83 2.73 1.71  1.06
H 2.16 3.33 -1.08  -0.90
H 1.25 4.16 0.14  0.56
H -0.71 2.61 -0.12  0.34
H -0.26 3.64 -1.48  0.53
H -1.03 1.27 1.70  0.27
H 0.05 2.11 2.91  0.46
H -0.49 0.41 3.22  0.48
C -3.75 -1.61 0.93  -1.47
C -2.57 -2.24 0.15  1.58
C -2.44 -3.69 0.66  -1.48
C -2.97 -2.28 -1.35  -1.51
C -1.30 -1.49 0.37  0.12
C -0.23 -0.98 0.80  -0.59
H -4.65 -2.21 0.73  0.40
H -3.94 -0.57 0.61  0.37
H -3.56 -1.62 2.02  0.37
H -3.40 -4.21 0.49  0.39
H -1.64 -4.23 0.13  0.37
H -2.22 -3.70 1.75  0.39
H -3.12 -1.27 -1.74  0.35
H -2.19 -2.79 -1.94  0.38
H -3.91 -2.85 -1.44  0.40

***

# 2
The following is a DFT calculation (ωB97M-V/def2-TZVPD) of one molecule with the formula C5H8N2 at a distorted geometry.

Calculated values
energy relative to the best compared isomer or geometry (same formula, charge and spin): 77.6 kcal per mole
orbital gap: 6.47 eV
largest force on an atom: 2.21 eV/Å

Each line ends with the Mulliken charge.
CARTESIAN COORDINATES (ANGSTROEM)
C -2.39 0.06 -0.20  -0.84
N -0.97 -0.02 0.10  0.12
C -0.40 -0.83 1.00  -0.05
N 0.93 -0.69 0.89  -0.33
C 1.26 0.23 -0.11  0.42
C 2.65 0.23 -0.37  -1.41
C 0.03 0.67 -0.60  -0.54
H -2.57 -0.22 -1.24  0.33
H -2.93 -0.64 0.45  0.28
H -2.77 1.07 -0.03  0.31
H -0.94 -1.51 1.65  0.37
H 3.33 0.71 0.32  0.20
H 1.94 -1.10 1.03  0.49
H 2.97 0.50 -1.35  0.19
H -0.23 1.38 -1.37  0.45

***

# 3
The following is a DFT calculation (ωB97M-V/def2-TZVPD) of C8H13MgN as an isolated structure at a distorted geometry.

Calculated values
net charge: -2
energy relative to the best compared isomer or geometry (same formula, charge and spin): 112.5 kcal per mole
orbital gap (alpha / beta): 4.17 / 5.31 eV
largest force on an atom: 7.13 eV/Å

Each line ends with the Mulliken charge.
CARTESIAN COORDINATES (ANGSTROEM)
C 0.48 0.66 -1.96  -0.82
C 0.22 1.83 -1.11  -0.60
C -1.18 1.89 -0.91  -0.49
C -1.78 0.82 -1.60  -0.49
C -0.79 0.06 -2.25  -0.25
Mg 0.71 -0.41 0.10  -0.11
N 0.93 -2.36 -1.54  -0.64
C 2.18 -0.42 1.20  -0.92
C 1.77 0.94 1.40  -0.72
H -1.71 2.70 -0.39  0.33
H 0.97 2.53 -0.77  0.57
H -2.88 0.63 -1.67  0.27
H -0.93 -0.78 -2.92  0.37
H 1.45 0.41 -2.40  0.46
H 2.32 1.65 0.71  0.31
H 1.99 -1.43 1.58  0.41
H 1.47 -2.97 -0.63  0.02
H 1.29 0.82 2.42  0.21
H 2.87 -0.69 0.30  0.24
C -1.33 -0.96 1.16  -0.93
H -1.07 -1.37 2.17  0.27
H -1.85 -1.76 0.59  0.26
H -2.05 -0.11 1.30  0.25

***

# 4
The following is a DFT calculation (ωB97M-V/def2-TZVPD) of C30H40MgO20S3 as an isolated structure at a distorted geometry.

Calculated values
net charge: -2
orbital gap: 5.78 eV
largest force on an atom: 3.66 eV/Å

_Written answer_
# 1
The following is a DFT calculation (ωB97M-V/def2-TZVPD) of C21H40P2Ti as an isolated structure at a distorted geometry.

Calculated values
net charge: +2
energy relative to the best compared isomer or geometry (same formula, charge and spin): 0.0 kcal per mole
orbital gap (alpha / beta): 5.33 / 5.34 eV
largest force on an atom: 5.32 eV/Å

Each line ends with the Mulliken charge.
CARTESIAN COORDINATES (ANGSTROEM)
P 4.86 2.66 1.19  0.71
P 4.07 3.02 -2.24  1.33
C 5.96 3.22 -0.18  -0.88
C 5.22 4.04 -1.27  -1.14
H 6.46 2.35 -0.63  0.47
H 6.79 3.84 0.19  0.58
H 4.68 4.90 -0.83  0.46
H 5.92 4.45 -2.02  0.52
C 5.16 2.07 -3.30  -1.48
H 4.60 1.36 -3.91  0.43
H 5.92 1.53 -2.74  0.38
H 5.67 2.76 -3.98  0.49
C 3.24 4.11 -3.42  -1.30
H 3.97 4.45 -4.16  0.48
H 2.80 4.98 -2.92  0.40
H 2.45 3.57 -3.95  0.38
C 5.96 1.92 2.44  -1.22
H 5.38 1.50 3.27  0.43
H 6.66 2.64 2.91  0.45
H 6.60 1.12 2.03  0.42
C 4.12 4.11 1.94  -1.47
H 3.59 4.69 1.19  0.38
H 4.82 4.78 2.43  0.46
H 3.42 3.78 2.70  0.45
Ti 1.43 -0.03 1.89  0.53
C 0.03 1.56 -1.81  -0.72
C 0.98 0.57 -1.87  -0.91
C 2.45 0.71 -1.77  0.80
C 3.27 0.47 -0.45  -0.74
C 3.37 1.63 0.60  0.12
C 2.01 2.25 0.74  -0.42
C 1.42 3.14 -0.28  -0.34
C 0.06 2.74 -0.92  -1.00
C -0.20 1.16 2.41  -1.25
H -0.98 1.31 -2.14  0.46
H 0.64 -0.42 -1.62  0.51
H 2.76 1.74 -2.09  -1.46
H 2.84 -0.07 -2.46  0.67
H 2.85 -0.44 0.04  0.50
H 4.26 0.11 -0.75  0.51
H 3.55 1.05 1.54  0.13
H 1.83 2.73 1.71  1.06
H 2.16 3.33 -1.08  -0.90
H 1.25 4.16 0.14  0.56
H -0.71 2.61 -0.12  0.34
H -0.26 3.64 -1.48  0.53
H -1.03 1.27 1.70  0.27
H 0.05 2.11 2.91  0.46
H -0.49 0.41 3.22  0.48
C -3.75 -1.61 0.93  -1.47
C -2.57 -2.24 0.15  1.58
C -2.44 -3.69 0.66  -1.48
C -2.97 -2.28 -1.35  -1.51
C -1.30 -1.49 0.37  0.12
C -0.23 -0.98 0.80  -0.59
H -4.65 -2.21 0.73  0.40
H -3.94 -0.57 0.61  0.37
H -3.56 -1.62 2.02  0.37
H -3.40 -4.21 0.49  0.39
H -1.64 -4.23 0.13  0.37
H -2.22 -3.70 1.75  0.39
H -3.12 -1.27 -1.74  0.35
H -2.19 -2.79 -1.94  0.38
H -3.91 -2.85 -1.44  0.40

***

# 2
The following is a DFT calculation (ωB97M-V/def2-TZVPD) of one molecule with the formula C5H8N2 at a distorted geometry.

Calculated values
energy relative to the best compared isomer or geometry (same formula, charge and spin): 77.6 kcal per mole
orbital gap: 6.47 eV
largest force on an atom: 2.21 eV/Å

Each line ends with the Mulliken charge.
CARTESIAN COORDINATES (ANGSTROEM)
C -2.39 0.06 -0.20  -0.84
N -0.97 -0.02 0.10  0.12
C -0.40 -0.83 1.00  -0.05
N 0.93 -0.69 0.89  -0.33
C 1.26 0.23 -0.11  0.42
C 2.65 0.23 -0.37  -1.41
C 0.03 0.67 -0.60  -0.54
H -2.57 -0.22 -1.24  0.33
H -2.93 -0.64 0.45  0.28
H -2.77 1.07 -0.03  0.31
H -0.94 -1.51 1.65  0.37
H 3.33 0.71 0.32  0.20
H 1.94 -1.10 1.03  0.49
H 2.97 0.50 -1.35  0.19
H -0.23 1.38 -1.37  0.45

***

# 3
The following is a DFT calculation (ωB97M-V/def2-TZVPD) of C8H13MgN as an isolated structure at a distorted geometry.

Calculated values
net charge: -2
energy relative to the best compared isomer or geometry (same formula, charge and spin): 112.5 kcal per mole
orbital gap (alpha / beta): 4.17 / 5.31 eV
largest force on an atom: 7.13 eV/Å

Each line ends with the Mulliken charge.
CARTESIAN COORDINATES (ANGSTROEM)
C 0.48 0.66 -1.96  -0.82
C 0.22 1.83 -1.11  -0.60
C -1.18 1.89 -0.91  -0.49
C -1.78 0.82 -1.60  -0.49
C -0.79 0.06 -2.25  -0.25
Mg 0.71 -0.41 0.10  -0.11
N 0.93 -2.36 -1.54  -0.64
C 2.18 -0.42 1.20  -0.92
C 1.77 0.94 1.40  -0.72
H -1.71 2.70 -0.39  0.33
H 0.97 2.53 -0.77  0.57
H -2.88 0.63 -1.67  0.27
H -0.93 -0.78 -2.92  0.37
H 1.45 0.41 -2.40  0.46
H 2.32 1.65 0.71  0.31
H 1.99 -1.43 1.58  0.41
H 1.47 -2.97 -0.63  0.02
H 1.29 0.82 2.42  0.21
H 2.87 -0.69 0.30  0.24
C -1.33 -0.96 1.16  -0.93
H -1.07 -1.37 2.17  0.27
H -1.85 -1.76 0.59  0.26
H -2.05 -0.11 1.30  0.25

***

# 4
The following is a DFT calculation (ωB97M-V/def2-TZVPD) of C30H40MgO20S3 as an isolated structure at a distorted geometry.

Calculated values
net charge: -2
orbital gap: 5.78 eV
largest force on an atom: 3.66 eV/Å